**File**
<<<
Formula: C56H113BF4N16O6
Source: OMol25
Level of theory: ωB97M-V with the def2-TZVPD basis set

Results
- Charge: +6
- Electronic energy: -3951.304649 a.u.
- Energy relative to the best compared isomer or geometry (same formula, charge and spin): 31.4 kcal/mol
- HOMO: -18.156 eV
- HOMO-LUMO gap: 7.24 eV

Positions of all 196 atoms, in Å:
F (4.134, -0.758, -2.646)
F (6.230, -0.520, -3.608)
F (4.964, -2.479, -3.938)
F (4.357, -0.551, -4.905)
O (-6.234, 4.714, 5.554)
O (1.046, 1.703, 0.578)
O (-2.078, 2.234, 4.037)
O (-4.023, 1.636, -1.920)
O (-0.656, -1.030, 0.094)
O (-1.871, 4.642, -0.085)
N (-0.262, -5.035, 2.189)
N (0.090, -5.554, -3.662)
N (1.257, 6.123, 1.073)
N (1.640, -2.865, -5.819)
N (4.811, -1.366, 2.514)
N (-1.596, 1.916, -0.377)
N (-5.844, -1.762, -1.240)
N (0.399, -1.643, -4.509)
N (-1.403, -5.597, 0.422)
N (4.550, 2.487, -2.241)
N (1.909, 4.536, 2.433)
N (-3.540, 4.509, 6.364)
N (-5.124, -1.218, 0.742)
N (5.635, 2.425, -0.368)
N (6.130, -1.426, 0.791)
N (1.430, -4.894, -2.100)
C (-5.134, 1.413, -2.794)
C (6.015, -0.830, 2.902)
C (-2.753, 1.467, -2.557)
C (3.623, -3.946, -1.624)
C (0.495, -0.802, 0.866)
C (-1.069, -6.766, 1.050)
C (4.048, -2.582, 4.564)
C (-3.757, -5.741, -0.344)
C (0.122, -4.272, 3.382)
C (6.594, -1.730, -0.566)
C (-5.721, 5.799, 6.312)
C (4.908, -1.718, 1.223)
C (3.692, -1.668, 3.390)
C (2.056, 3.279, 3.138)
C (2.166, 6.671, 1.929)
C (0.345, -2.937, -6.264)
C (5.930, 2.544, 1.056)
C (1.656, -2.020, -4.784)
C (2.852, -3.575, -6.278)
C (-2.298, -5.505, -0.711)
C (-0.419, -4.371, -3.152)
C (1.276, -5.801, -3.078)
C (1.476, 0.361, 0.524)
C (6.829, -0.837, 1.817)
C (-4.011, -1.557, 2.985)
C (-0.319, -6.414, 2.131)
C (-6.642, -1.880, -2.475)
C (1.152, 4.811, 1.361)
C (2.552, -4.609, -7.362)
C (0.408, -3.991, -2.146)
C (-3.722, 3.517, 5.223)
C (-2.890, 5.449, -0.713)
C (-4.041, -1.443, -0.033)
C (5.870, 2.157, -2.536)
C (-5.084, -0.844, 2.146)
C (0.542, 6.857, 0.004)
C (-2.659, 2.464, 0.546)
C (4.426, 2.592, -0.906)
C (-1.036, 1.298, 3.980)
C (2.592, 5.698, 2.764)
C (2.529, -4.892, -1.140)
C (-2.257, 3.852, 0.997)
C (-0.405, -6.309, -4.807)
C (-2.673, 2.381, 5.329)
C (-1.642, 2.221, -1.846)
C (-4.190, 5.869, 6.209)
C (-0.859, -4.558, 1.095)
C (-0.096, -0.787, -3.428)
C (3.474, 2.416, -3.216)
C (-6.242, -1.409, 0.010)
C (0.630, 6.071, -1.324)
C (-7.536, 4.364, 5.966)
C (3.499, 3.565, -4.228)
C (6.542, 2.177, -1.356)
C (-0.413, -2.036, -5.582)
C (-4.484, -1.838, -1.244)
B (4.963, -1.077, -3.736)
H (6.954, 2.878, 1.209)
H (2.899, -2.103, 2.785)
H (-1.479, -1.894, -5.590)
H (-3.653, 2.321, 0.132)
H (6.588, -0.766, -1.078)
H (1.210, -4.193, 3.338)
H (-3.927, -6.791, -0.096)
H (-8.222, 5.221, 5.954)
H (4.841, -2.149, 5.172)
H (-1.691, 3.304, -1.928)
H (0.537, -3.174, -1.440)
H (-1.477, 3.857, 1.765)
H (3.580, 1.445, -3.706)
H (7.571, 1.922, -1.164)
H (-0.936, -7.171, -4.400)
H (2.533, 2.329, -2.669)
H (4.401, -3.531, 4.154)
H (-3.773, 4.076, 7.261)
H (-2.823, 1.725, -3.613)
H (-0.493, 1.303, 3.029)
H (-2.018, -6.268, -1.443)
H (0.235, -0.828, 1.947)
H (2.170, -4.680, -0.132)
H (1.752, 3.406, 4.174)
H (-2.665, 1.764, 1.388)
H (-6.001, 1.254, -2.161)
H (-3.956, 6.260, 5.219)
H (1.934, 0.190, -0.469)
H (6.148, -0.473, 3.909)
H (-3.249, 1.465, 5.482)
H (-2.530, 4.655, 6.456)
H (3.230, 5.620, 3.629)
H (2.510, -2.025, -4.113)
H (7.620, -2.087, -0.531)
H (-4.909, 0.521, -3.393)
H (-3.051, 4.312, 1.605)
H (0.552, 5.000, -1.176)
H (0.095, -7.032, 2.912)
H (4.569, -4.173, -1.120)
H (5.899, -2.380, -1.080)
H (-3.576, 4.793, -1.251)
H (3.511, -2.809, -6.681)
H (-0.707, -1.431, -2.784)
H (3.012, 2.782, 2.983)
H (3.438, -5.163, -7.675)
H (-3.863, 4.004, 4.268)
H (-0.225, 1.539, 4.679)
H (6.100, 1.921, -3.561)
H (-2.411, 6.221, -1.300)
H (2.681, 3.354, -4.915)
H (2.385, 0.376, 1.160)
H (0.691, -0.470, -2.747)
H (-4.634, 3.026, 5.555)
H (-7.613, 3.964, 6.981)
H (3.478, 2.837, -0.447)
H (-7.949, 3.680, 5.226)
H (-3.013, -1.268, 0.279)
H (0.929, 7.867, -0.103)
H (-1.106, -5.825, -5.484)
H (0.684, 4.106, 0.695)
>>>

**Activity**
Could you return everything further up character by character?

**Solution**
Formula: C56H113BF4N16O6
Source: OMol25
Level of theory: ωB97M-V with the def2-TZVPD basis set

Results
- Charge: +6
- Electronic energy: -3951.304649 a.u.
- Energy relative to the best compared isomer or geometry (same formula, charge and spin): 31.4 kcal/mol
- HOMO: -18.156 eV
- HOMO-LUMO gap: 7.24 eV

Positions of all 196 atoms, in Å:
F (4.134, -0.758, -2.646)
F (6.230, -0.520, -3.608)
F (4.964, -2.479, -3.938)
F (4.357, -0.551, -4.905)
O (-6.234, 4.714, 5.554)
O (1.046, 1.703, 0.578)
O (-2.078, 2.234, 4.037)
O (-4.023, 1.636, -1.920)
O (-0.656, -1.030, 0.094)
O (-1.871, 4.642, -0.085)
N (-0.262, -5.035, 2.189)
N (0.090, -5.554, -3.662)
N (1.257, 6.123, 1.073)
N (1.640, -2.865, -5.819)
N (4.811, -1.366, 2.514)
N (-1.596, 1.916, -0.377)
N (-5.844, -1.762, -1.240)
N (0.399, -1.643, -4.509)
N (-1.403, -5.597, 0.422)
N (4.550, 2.487, -2.241)
N (1.909, 4.536, 2.433)
N (-3.540, 4.509, 6.364)
N (-5.124, -1.218, 0.742)
N (5.635, 2.425, -0.368)
N (6.130, -1.426, 0.791)
N (1.430, -4.894, -2.100)
C (-5.134, 1.413, -2.794)
C (6.015, -0.830, 2.902)
C (-2.753, 1.467, -2.557)
C (3.623, -3.946, -1.624)
C (0.495, -0.802, 0.866)
C (-1.069, -6.766, 1.050)
C (4.048, -2.582, 4.564)
C (-3.757, -5.741, -0.344)
C (0.122, -4.272, 3.382)
C (6.594, -1.730, -0.566)
C (-5.721, 5.799, 6.312)
C (4.908, -1.718, 1.223)
C (3.692, -1.668, 3.390)
C (2.056, 3.279, 3.138)
C (2.166, 6.671, 1.929)
C (0.345, -2.937, -6.264)
C (5.930, 2.544, 1.056)
C (1.656, -2.020, -4.784)
C (2.852, -3.575, -6.278)
C (-2.298, -5.505, -0.711)
C (-0.419, -4.371, -3.152)
C (1.276, -5.801, -3.078)
C (1.476, 0.361, 0.524)
C (6.829, -0.837, 1.817)
C (-4.011, -1.557, 2.985)
C (-0.319, -6.414, 2.131)
C (-6.642, -1.880, -2.475)
C (1.152, 4.811, 1.361)
C (2.552, -4.609, -7.362)
C (0.408, -3.991, -2.146)
C (-3.722, 3.517, 5.223)
C (-2.890, 5.449, -0.713)
C (-4.041, -1.443, -0.033)
C (5.870, 2.157, -2.536)
C (-5.084, -0.844, 2.146)
C (0.542, 6.857, 0.004)
C (-2.659, 2.464, 0.546)
C (4.426, 2.592, -0.906)
C (-1.036, 1.298, 3.980)
C (2.592, 5.698, 2.764)
C (2.529, -4.892, -1.140)
C (-2.257, 3.852, 0.997)
C (-0.405, -6.309, -4.807)
C (-2.673, 2.381, 5.329)
C (-1.642, 2.221, -1.846)
C (-4.190, 5.869, 6.209)
C (-0.859, -4.558, 1.095)
C (-0.096, -0.787, -3.428)
C (3.474, 2.416, -3.216)
C (-6.242, -1.409, 0.010)
C (0.630, 6.071, -1.324)
C (-7.536, 4.364, 5.966)
C (3.499, 3.565, -4.228)
C (6.542, 2.177, -1.356)
C (-0.413, -2.036, -5.582)
C (-4.484, -1.838, -1.244)
B (4.963, -1.077, -3.736)
H (6.954, 2.878, 1.209)
H (2.899, -2.103, 2.785)
H (-1.479, -1.894, -5.590)
H (-3.653, 2.321, 0.132)
H (6.588, -0.766, -1.078)
H (1.210, -4.193, 3.338)
H (-3.927, -6.791, -0.096)
H (-8.222, 5.221, 5.954)
H (4.841, -2.149, 5.172)
H (-1.691, 3.304, -1.928)
H (0.537, -3.174, -1.440)
H (-1.477, 3.857, 1.765)
H (3.580, 1.445, -3.706)
H (7.571, 1.922, -1.164)
H (-0.936, -7.171, -4.400)
H (2.533, 2.329, -2.669)
H (4.401, -3.531, 4.154)
H (-3.773, 4.076, 7.261)
H (-2.823, 1.725, -3.613)
H (-0.493, 1.303, 3.029)
H (-2.018, -6.268, -1.443)
H (0.235, -0.828, 1.947)
H (2.170, -4.680, -0.132)
H (1.752, 3.406, 4.174)
H (-2.665, 1.764, 1.388)
H (-6.001, 1.254, -2.161)
H (-3.956, 6.260, 5.219)
H (1.934, 0.190, -0.469)
H (6.148, -0.473, 3.909)
H (-3.249, 1.465, 5.482)
H (-2.530, 4.655, 6.456)
H (3.230, 5.620, 3.629)
H (2.510, -2.025, -4.113)
H (7.620, -2.087, -0.531)
H (-4.909, 0.521, -3.393)
H (-3.051, 4.312, 1.605)
H (0.552, 5.000, -1.176)
H (0.095, -7.032, 2.912)
H (4.569, -4.173, -1.120)
H (5.899, -2.380, -1.080)
H (-3.576, 4.793, -1.251)
H (3.511, -2.809, -6.681)
H (-0.707, -1.431, -2.784)
H (3.012, 2.782, 2.983)
H (3.438, -5.163, -7.675)
H (-3.863, 4.004, 4.268)
H (-0.225, 1.539, 4.679)
H (6.100, 1.921, -3.561)
H (-2.411, 6.221, -1.300)
H (2.681, 3.354, -4.915)
H (2.385, 0.376, 1.160)
H (0.691, -0.470, -2.747)
H (-4.634, 3.026, 5.555)
H (-7.613, 3.964, 6.981)
H (3.478, 2.837, -0.447)
H (-7.949, 3.680, 5.226)
H (-3.013, -1.268, 0.279)
H (0.929, 7.867, -0.103)
H (-1.106, -5.825, -5.484)
H (0.684, 4.106, 0.695)